Debian Automated Code Analysis

pyflakes analysis of python3.2-minimal_3.2.1~rc1-1_i386.deb

./usr/lib/python3.2/ invalid syntax
                     for name, value in namespace.items()
./usr/lib/python3.2/ invalid syntax
class Template(metaclass=_TemplateMetaclass):
./usr/lib/python3.2/ invalid syntax
            print(self.get_usage(), file=file)
./usr/lib/python3.2/ invalid syntax
./usr/lib/python3.2/ invalid syntax
            print(level*"  " + op, end=' '); nl = 0
./usr/lib/python3.2/ invalid syntax
            for name, value in globals().items()
./usr/lib/python3.2/ invalid syntax
    with _TempModule(mod_name) as temp_module, _ModifiedArgv0(mod_fname):
./usr/lib/python3.2/ No such file or directory
./usr/lib/python3.2/ invalid syntax
    def __init__(self, file, protocol=None, *, fix_imports=True):
./usr/lib/python3.2/ invalid syntax
./usr/lib/python3.2/ invalid syntax
                raise TypeError from e
./usr/lib/python3.2/ invalid syntax
                 allow_no_value=False, *, delimiters=('=', ':'),
./usr/lib/python3.2/ redefinition of unused 'PyStringMap' from line 61
./usr/lib/python3.2/ 'from _locale import *' used; unable to detect undefined names
./usr/lib/python3.2/ redefinition of function 'localeconv' from line 64
./usr/lib/python3.2/ local variable 'result' is assigned to but never used
./usr/lib/python3.2/ local variable 'seps' is assigned to but never used
./usr/lib/python3.2/ redefinition of function 'setlocale' from line 88
./usr/lib/python3.2/ redefinition of function 'getpreferredencoding' from line 552
./usr/lib/python3.2/ redefinition of function 'getpreferredencoding' from line 562
./usr/lib/python3.2/ 'sys' imported but unused
./usr/lib/python3.2/ 'from _heapq import *' used; unable to detect undefined names
./usr/lib/python3.2/ redefinition of function 'nsmallest' from line 199
./usr/lib/python3.2/ redefinition of function 'nlargest' from line 183
./usr/lib/python3.2/ 'sys' imported but unused
./usr/lib/python3.2/ 'from token import *' used; unable to detect undefined names
./usr/lib/python3.2/ local variable 'strstart' is assigned to but never used
./usr/lib/python3.2/ undefined name 'def_op'
./usr/lib/python3.2/ undefined name 'def_op'
./usr/lib/python3.2/ undefined name 'def_op'
./usr/lib/python3.2/ local variable 'mod_type' is assigned to but never used
./usr/lib/python3.2/ 'from _bisect import *' used; unable to detect undefined names
./usr/lib/python3.2/ 'string' imported but unused
./usr/lib/python3.2/ redefinition of unused 'gettext' from line 93
./usr/lib/python3.2/ undefined name 'ngettext'
./usr/lib/python3.2/ undefined name 'ngettext'
./usr/lib/python3.2/ 'from _codecs import *' used; unable to detect undefined names
./usr/lib/python3.2/ undefined name 'register_error' in __all__
./usr/lib/python3.2/ undefined name 'register' in __all__
./usr/lib/python3.2/ undefined name 'lookup' in __all__
./usr/lib/python3.2/ undefined name 'lookup_error' in __all__
./usr/lib/python3.2/ 'encodings' imported but unused
./usr/lib/python3.2/ 'from genericpath import *' used; unable to detect undefined names
./usr/lib/python3.2/ undefined name 'isdir' in __all__
./usr/lib/python3.2/ undefined name 'commonprefix' in __all__
./usr/lib/python3.2/ undefined name 'exists' in __all__
./usr/lib/python3.2/ undefined name 'getctime' in __all__
./usr/lib/python3.2/ undefined name 'getsize' in __all__
./usr/lib/python3.2/ undefined name 'getmtime' in __all__
./usr/lib/python3.2/ undefined name 'getatime' in __all__
./usr/lib/python3.2/ undefined name 'isfile' in __all__
./usr/lib/python3.2/ 'string' imported but unused
./usr/lib/python3.2/ redefinition of function 'ismemberdescriptor' from line 121
./usr/lib/python3.2/ redefinition of function 'isgetsetdescriptor' from line 138
./usr/lib/python3.2/ local variable 'step' is assigned to but never used
./usr/lib/python3.2/ '_ssl' imported but unused
./usr/lib/python3.2/ 'OPENSSL_VERSION_NUMBER' imported but unused
./usr/lib/python3.2/ 'OPENSSL_VERSION' imported but unused
### Attached: materials data
~~~
1.
A relaxed Pr2TmScO6 crystal. Source: Alexandria, functional PBE-GGA.

Unit cell a=5.722 b=5.952 c=10.040 alpha=90.00 beta=124.45 gamma=90.00
Space group P2_1/c (No. 14)
Asymmetric unit:
Pr1 0.233 0.055 0.250 (multiplicity 4)
Tm1 0.500 0.000 0.000 (multiplicity 2)
Sc1 0.000 0.000 0.500 (multiplicity 2)
O1 0.127 0.204 0.935 (multiplicity 4)
O2 0.234 0.694 0.938 (multiplicity 4)
O3 0.363 0.049 0.744 (multiplicity 4)

## Properties
- Energy relative to the elements, uncorrected: -3.460 eV/atom
- Crystal system: monoclinic
- Raw total energy: -8.4715 eV/atom


2.
A relaxed NaBe2V2 crystal. Source: Alexandria, functional PBE-GGA.

Unit cell a=7.703 b=7.703 c=2.265 alpha=90.00 beta=90.00 gamma=90.00
Space group P4/mbm (No. 127)
Asymmetric unit:
Na1 0.000 0.000 0.000 (multiplicity 2)
Be1 0.174 0.326 0.000 (multiplicity 4)
V1 0.118 0.618 0.500 (multiplicity 4)

## Properties
- Crystal system: tetragonal
- Raw total energy: -4.9981 eV/atom
- DFT formation energy: 0.404 eV per atom

* * * * *

[1]
The following is a DFT calculation (GGA-PBEsol) of LaTeRh after structural relaxation.

symmetry: No. 156
uncorrected energy: -6.81 eV/atom
theoretical density: 8.66 g/cm3

Cell lengths 4.489, 4.489, 4.059 Å; angles 90.00, 90.00, 120.00 degrees
Fractional coordinates of all 3 atoms:
La 0.000 0.000 0.000
Te 0.333 0.667 0.511
Rh 0.667 0.333 0.450



[2]
The following is a DFT calculation (GGA-PBEsol) of La2TiRh after structural relaxation.

symmetry: No. 225
uncorrected energy: -6.73 eV/atom
ΔH_f (0 K): 0.06 eV per atom
theoretical density: 7.64 g/cm3

Cell lengths 5.088, 5.088, 5.088 Å; angles 60.00, 60.00, 60.00 degrees
Fractional coordinates of all 4 atoms:
La 0.250 0.250 0.250
La 0.750 0.750 0.750
Ti 0.000 0.000 0.000
Rh 0.500 0.500 0.500



[3]
The following is a DFT calculation (GGA-PBEsol) of LaTi2Rh2 after structural relaxation.

symmetry: No. 139
uncorrected energy: -8.26 eV/atom
ΔH_f (0 K): -0.60 eV per atom
theoretical density: 7.59 g/cm3

Cell lengths 6.091, 6.091, 6.091 Å; angles 138.97, 138.97, 59.41 degrees
Fractional coordinates of all 5 atoms:
La 0.000 0.000 0.000
Ti 0.250 0.750 0.500
Ti 0.750 0.250 0.500
Rh 0.374 0.374 0.000
Rh 0.626 0.626 0.000



[4]
The following is a DFT calculation (GGA-PBEsol) of LaTlRh2 after structural relaxation.

symmetry: No. 123
uncorrected energy: -6.31 eV/atom
ΔH_f (0 K): -0.25 eV per atom
theoretical density: 11.69 g/cm3

Cell lengths 3.479, 3.479, 6.444 Å; angles 90.00, 90.00, 90.00 degrees
Fractional coordinates of all 4 atoms:
La 0.000 0.000 0.000
Tl 0.000 0.000 0.500
Rh 0.500 0.500 0.269
Rh 0.500 0.500 0.731



[5]
The following is a DFT calculation (GGA-PBEsol) of LaTlRh after structural relaxation.

symmetry: No. 216
uncorrected energy: -5.81 eV/atom
ΔH_f (0 K): -0.44 eV per atom
theoretical density: 9.73 g/cm3

Cell lengths 4.758, 4.758, 4.758 Å; angles 60.00, 60.00, 60.00 degrees
Fractional coordinates of all 3 atoms:
La 0.000 0.000 0.000
Tl 0.500 0.500 0.500
Rh 0.750 0.750 0.750



[6]
~~~
### End of the materials data
./usr/lib/python3.2/ 'OPENSSL_VERSION_INFO' imported but unused
./usr/lib/python3.2/ 'CERT_OPTIONAL' imported but unused
./usr/lib/python3.2/ 'OP_NO_SSLv3' imported but unused
./usr/lib/python3.2/ 'OP_NO_SSLv2' imported but unused
./usr/lib/python3.2/ 'OP_ALL' imported but unused
./usr/lib/python3.2/ 'OP_NO_TLSv1' imported but unused
./usr/lib/python3.2/ 'RAND_add' imported but unused
./usr/lib/./usr/lib/python3.2/ invalid syntax
            print("Invalid -W option ignored:", msg, file=sys.stderr)
./usr/lib/python3.2/ invalid syntax
                    print('*** ', end='')
./usr/lib/python3.2/ invalid syntax
                nonlocal hits, misses
./usr/lib/python3.2/ invalid syntax
        print("Gosh.  No error.", file=sys.stderr)
./usr/lib/python3.2/ invalid syntax
    def makefile(self, mode="r", buffering=None, *,
./usr/lib/python3.2/ unqualified exec is not allowed in function 'namedtuple' it contains a nested function with free variables
exec(class_definition, namespace)
./usr/lib/python3.2/ invalid syntax
class IOBase(_io._IOBase, metaclass=abc.ABCMeta):
./usr/lib/python3.2/ invalid syntax
            print("%3d" % linestarts[i], end=' ')
./usr/lib/python3.2/ invalid syntax
class Hashable(metaclass=ABCMeta):
python3.2/ 'RAND_egd' imported but unused
./usr/lib/python3.2/ 'RAND_status' imported but unused
./usr/lib/python3.2/ 'SSL_ERROR_SYSCALL' imported but unused
./usr/lib/python3.2/ 'SSL_ERROR_WANT_X509_LOOKUP' imported but unused
./usr/lib/python3.2/ 'SSL_ERROR_ZERO_RETURN' imported but unused
./usr/lib/python3.2/ 'SSL_ERROR_INVALID_ERROR_CODE' imported but unused
./usr/lib/python3.2/ 'SSL_ERROR_WANT_CONNECT' imported but unused
./usr/lib/python3.2/ 'SSL_ERROR_SSL' imported but unused
./usr/lib/python3.2/ 'HAS_SNI' imported but unused
./usr/lib/python3.2/ '_getnameinfo' imported but unused
[Between two parts of the article: calculated crystals]
********
# SrMnAg2Cl6

An optimized crystal structure of SrMnAg2Cl6 (PBE, the Alexandria database).

POSCAR file:
```
SrMnAg2Cl6
1.0
3.4288 1.9796 6.5541
-3.4288 1.9796 6.5541
0.0000 -3.9592 6.5541
Sr Mn Ag Cl
1 1 2 6
direct
0.0000 0.0000 0.0000
0.5000 0.5000 0.5000
0.1991 0.1991 0.1991
0.8009 0.8009 0.8009
0.1320 0.7436 0.4031
0.2564 0.5969 0.8680
0.4031 0.1320 0.7436
0.5969 0.8680 0.2564
0.7436 0.4031 0.1320
0.8680 0.2564 0.5969
```

Values from the calculation:
* formation energy from raw total energies: -1.22 eV/atom


# KZn2N4

An optimized crystal structure of KZn2N4 (PBE, the Alexandria database).

POSCAR file:
```
KZn2N4
1.0
4.7631 0.0000 0.0000
0.0000 4.7631 0.0000
0.0000 0.0000 11.7333
K Zn N
2 4 8
direct
0.0000 0.0000 0.0000
0.5000 0.5000 0.5000
0.0000 0.0000 0.3967
0.0000 0.0000 0.6033
0.5000 0.5000 0.1033
0.5000 0.5000 0.8967
0.0000 0.0000 0.2353
0.0000 0.0000 0.7647
0.0000 0.5000 0.0000
0.0000 0.5000 0.5000
0.5000 0.0000 0.0000
0.5000 0.0000 0.5000
0.5000 0.5000 0.2647
0.5000 0.5000 0.7353
```

Values from the calculation:
* formation energy from raw total energies: 2.14 eV/atom


# Sm4Cd2Ag

An optimized crystal structure of Sm4Cd2Ag (PBE, the Alexandria database).

POSCAR file:
```
Sm4Cd2Ag
1.0
2.6460 1.5277 8.5715
-2.6460 1.5277 8.5715
0.0000 -3.0553 8.5715
Sm Cd Ag
4 2 1
direct
0.1223 0.1223 0.1223
0.3730 0.3730 0.3730
0.6270 0.6270 0.6270
0.8777 0.8777 0.8777
0.2495 0.2495 0.2495
0.7505 0.7505 0.7505
0.5000 0.5000 0.5000
```

Values from the calculation:
* energy of formation from the pure elements: -0.8 eV per formula unit


# AlVCr

An optimized crystal structure of AlVCr (PBE, the Alexandria database).

POSCAR file:
```
AlVCr
1.0
2.7707 0.0000 0.0000
0.0000 3.8507 0.0000
0.0000 0.0000 4.4116
Al V Cr
1 1 1
direct
0.0000 0.0000 0.0000
0.0000 0.5000 0.5000
0.5000 0.0000 0.5000
```

Values from the calculation:
* energy of formation from the pure elements: 1.1 eV per formula unit
* distance to the lowest polymorph of the same formula: 568.3 meV/atom


# H8PdPt3

An optimized crystal structure of H8PdPt3 (PBE, the Alexandria database).

POSCAR file:
```
H8PdPt3
1.0
5.8752 -1.6413 0.0000
5.8752 1.6413 0.0000
-1.7102 0.0000 5.7714
H Pd Pt
8 1 3
direct
0.0000 0.0000 0.0000
0.1337 0.1337 0.7912
0.2962 0.2962 0.2643
0.4421 0.4421 0.7433
0.5207 0.5207 0.2376
0.7308 0.7308 0.0184
0.8235 0.8235 0.6808
0.9101 0.9101 0.2823
0.6743 0.6743 0.7064
0.0625 0.0625 0.3005
0.7653 0.7653 0.3058
0.9728 0.9728 0.7052
```

Values from the calculation:
* energy: -4.150 eV/atom


# LiCoW

An optimized crystal structure of LiCoW (PBE, the Alexandria database).

POSCAR file:
```
LiCoW
1.0
5.5718 0.0000 0.0000
0.0000 5.5718 0.0000
0.0000 0.0000 5.5718
Li Co W
4 4 4
direct
0.0000 0.0000 0.0000
0.0000 0.5000 0.5000
0.5000 0.0000 0.5000
0.5000 0.5000 0.0000
0.2500 0.2500 0.7500
0.2500 0.7500 0.2500
0.7500 0.2500 0.2500
0.7500 0.7500 0.7500
0.0000 0.0000 0.5000
0.0000 0.5000 0.0000
0.5000 0.0000 0.0000
********
./usr/lib/python3.2/ 'traceback' imported but unused
./usr/lib/python3.2/ local variable 'why' is assigned to but never used
./usr/lib/python3.2/ redefinition of unused 'RegQueryValueEx' from line 561
./usr/lib/python3.2/ 'win32api' imported but unused
./usr/lib/python3.2/ redefinition of unused 'GetVersionEx' from line 601
./usr/lib/python3.2/ redefinition of unused 'RegQueryValueEx' from line 601
./usr/lib/python3.2/ redefinition of unused 'RegOpenKeyEx' from line 601
./usr/lib/python3.2/ redefinition of unused 'RegCloseKey' from line 601
./usr/lib/python3.2/ redefinition of unused 'HKEY_LOCAL_MACHINE' from line 603
./usr/lib/python3.2/ redefinition of unused 'VER_PLATFORM_WIN32_WINDOWS' from line 603
./usr/lib/python3.2/ redefinition of unused 'VER_PLATFORM_WIN32_NT' from line 603
./usr/lib/python3.2/ redefinition of unused 'VER_NT_WORKSTATION' from line 603
./usr/lib/python3.2/ undefined name 'WindowsError'
./usr/lib/python3.2/ '_gestalt' imported but unused
./usr/lib/python3.2/ undefined name 'versioninfo'
./usr/lib/python3.2/ 'java' imported but unused
./usr/lib/python3.2/ 'from sre_constants import *' used; unable to detect undefined names
./usr/lib/python3.2/ 'from posix import *' used; unable to detect undefined names
./usr/lib/python3.2/ 'from nt import *' used; unable to detect undefined names
./usr/lib/python3.2/ redefinition of unused '_exit' from line 46
./usr/lib/python3.2/ redefinition of unused 'path' from line 49
./usr/lib/python3.2/ 'from os2 import *' used; unable to detect undefined names
./usr/lib/python3.2/ redefinition of unused '_exit' from line 60
./usr/lib/python3.2/ redefinition of unused 'path' from line 63
./usr/lib/python3.2/ redefinition of unused 'path' from line 78
./usr/lib/python3.2/ 'link' imported but unused
./usr/lib/python3.2/ 'from ce import *' used; unable to detect undefined names
./usr/lib/python3.2/ redefinition of unused '_exit' from line 74
./usr/lib/python3.2/ redefinition of unused 'path' from line 80
./usr/lib/python3.2/ 'extsep' imported but unused
____________
Record 1
A relaxed RbTbPdF6 crystal. Source: the Alexandria database, functional GGA-PBE.

Results
* volume: 20.79 Å³/atom
* ΔE_f (raw): -25.0 eV/f.u.
* space-group type: Imma

Structure (POSCAR):
```
RbTbPdF6
1.0
-0.338 -1.968 8.075
6.877 -3.719 -0.618
-0.522 7.708 -2.428
Rb Tb Pd F
2 2 2 12
Direct
0.817 0.567 0.635
0.183 0.433 0.365
0.500 0.000 0.500
0.000 0.000 0.500
0.500 0.500 0.000
0.500 0.000 0.000
0.421 0.671 0.841
0.817 0.067 0.634
0.824 0.089 0.261
0.437 0.671 0.261
0.437 0.089 0.261
0.824 0.671 0.261
0.579 0.329 0.159
0.183 0.933 0.366
0.176 0.911 0.739
0.563 0.329 0.739
0.563 0.911 0.739
0.176 0.329 0.739
```

=====

Record 2
A relaxed PmErPuTl crystal. Source: the Alexandria database, functional GGA-PBE.

Results
* volume: 28.79 Å³/atom
* space-group type: F-43m
* energy of formation from the pure elements: 106.4 meV/atom

Structure (POSCAR):
```
PmErPuTl
1.0
5.461 0.000 0.000
2.731 4.730 0.000
2.731 1.577 4.459
Tl Er Pm Pu
1 1 1 1
Direct
0.000 0.000 0.000
0.750 0.750 0.750
0.500 0.500 0.500
0.250 0.250 0.250
```

* * * * *

[1]
VASP calculation (PBE) on a relaxed TiS crystal.

a b c (Å): 9.116 9.116 9.116
angles (deg): 21.77 21.77 21.77
Sites, in units of the cell vectors:
S 0.000 0.000 0.000
S 0.777 0.777 0.777
S 0.223 0.223 0.223
Ti 0.500 0.500 0.500
Ti 0.618 0.618 0.618
Ti 0.382 0.382 0.382

**Symmetry**: No. 166
**Total DFT energy (no corrections)**: -7.355 eV per atom

---

[2]
VASP calculation (PBE) on a relaxed TiTlS2 crystal.

a b c (Å): 20.341 7.268 7.268
angles (deg): 93.46 117.66 62.34
Sites, in units of the cell vectors:
Tl 0.094 0.171 0.233
Tl 0.406 0.733 0.671
Tl 0.906 0.829 0.767
Tl 0.594 0.267 0.329
Tl 0.389 0.292 0.552
Tl 0.111 0.052 0.792
Tl 0.611 0.708 0.448
Tl 0.889 0.948 0.208
S 0.058 0.721 0.680
S 0.442 0.180 0.221
S 0.942 0.279 0.320
S 0.558 0.820 0.779
S 0.774 0.232 0.362
S 0.726 0.862 0.732
S 0.226 0.768 0.638
S 0.274 0.138 0.268
S 0.407 0.683 0.086
S 0.093 0.586 0.183
S 0.593 0.317 0.914
S 0.907 0.414 0.817
S 0.750 0.336 0.836
S 0.250 0.664 0.164
S 0.750 0.722 0.222
S 0.250 0.278 0.778
Ti 0.315 0.503 0.965
Ti 0.185 0.465 0.003
Ti 0.685 0.497 0.035
Ti 0.815 0.535 0.997
Ti 0.350 0.042 0.092
Ti 0.150 0.592 0.542
Ti 0.650 0.958 0.908
Ti 0.850 0.408 0.458

**Symmetry**: No. 15
**Total DFT energy (no corrections)**: -5.560 eV per atom

---

[3]
VASP calculation (PBE) on a relaxed TiTl2S3 crystal.

a b c (Å): 7.002 7.545 15.298
angles (deg): 88.46 86.67 62.35
Sites, in units of the cell vectors:
Ti 0.737 0.990 0.168
Ti 0.272 0.990 0.332
Ti 0.263 0.010 0.832
Ti 0.728 0.010 0.668
Tl 0.573 0.397 0.349
Tl 0.030 0.397 0.151
Tl 0.427 0.603 0.651
Tl 0.970 0.603 0.849
Tl 0.349 0.793 0.059
Tl 0.858 0.793 0.441
Tl 0.651 0.207 0.941
Tl 0.142 0.207 0.559
S 0.594 0.813 0.250
S 0.406 0.187 0.750
S 0.510 0.304 0.134
S 0.186 0.304 0.366
S 0.490 0.696 0.866
S 0.814 0.696 0.634
S 0.695 0.184 0.545
S 0.121 0.184 0.955
S 0.305 0.816 0.455
S 0.879 0.816 0.045
S 0.006 0.988 0.250
S 0.994 0.012 0.750

**Symmetry**: No. 15
____________
./usr/lib/python3.2/ local variable 'd' is assigned to but never used
./usr/lib/python3.2/ redefinition of unused 'get_ident' from line 8
./usr/lib/python3.2/ undefined name 'Struct' in __all__
./usr/lib/python3.2/ undefined name 'pack_into' in __all__
./usr/lib/python3.2/ undefined name 'calcsize' in __all__
./usr/lib/python3.2/ undefined name 'error' in __all__
./usr/lib/python3.2/ undefined name 'unpack' in __all__
./usr/lib/python3.2/ undefined name 'unpack_from' in __all__
./usr/lib/python3.2/ undefined name 'pack' in __all__
./usr/lib/python3.2/ 'from _struct import *' used; unable to detect undefined names
./usr/lib/python3.2/ '_clearcache' imported but unused
./usr/lib/python3.2/ '__doc__' imported but unused
./usr/lib/python3.2/encodings/ local variable 'v' is assigned to but never used
./usr/lib/python3.2/encodings/ undefined name 'memoryview'
./usr/lib/python3.2/logging/ 'os' imported but unused
./usr/lib/python3.2/logging/ redefinition of unused 'thread' from line 31
./usr/lib/python3.2/logging/ 'tempfile' imported but unused
./usr/lib/python3.2/logging/ redefinition of unused 'threading' from line 31
./usr/lib/python3.2/logging/ redefinition of unused 'codecs' from line 36
./usr/lib/python3.2/logging/ local variable 'dummy' is assigned to but never used
./usr/lib/python3.2/logging/ redefinition of unused 'codecs' from line 39
./usr/lib/python3.2/logging/ redefinition of unused 'thread' from line 44

This report was generated on Fri, 10 Jun 2011 06:46:05 +0000, based on results by pyflakes 0.4.0-1